Dear Families:
### Attached: calculated crystals
____________
Below is crystalline Zn2FeP2 at its relaxed geometry, with properties calculated at the PBE level.

a = 3.3129 Å, b = 3.3129 Å, c = 7.9750 Å
α = 78.01°, β = 78.01°, γ = 90.00°
Closest atoms and distances in Å follow each position.
Sites, in units of the cell vectors:
P 0.4282 0.4282 0.1435  1 P 2.19
P 0.5718 0.5718 0.8565  1 P 2.19
Zn 0.7500 0.2500 0.5000  4 Zn 2.34
Zn 0.2500 0.7500 0.5000  4 Zn 2.34
Fe 0.0000 0.0000 0.0000  8 P 2.59

Electronic total energy in eV for the cell shown: -20.0
Symmetry: I4/mmm
ΔE to the lowest computed polymorph in kJ/mol of formula units: 194
Energy of formation in eV per formula unit: 1.79



Below is crystalline Y4InTe2Se at its relaxed geometry, with properties calculated at the PBE level.

a = 4.2424 Å, b = 7.5616 Å, c = 7.4929 Å
α = 71.21°, β = 90.00°, γ = 90.00°
Closest atoms and distances in Å follow each position.
Sites, in units of the cell vectors:
Y 0.0000 0.7278 0.7596  2 Se 2.95, 1 In 2.98, 3 Te 3.14-3.15
Y 0.0000 0.2722 0.2404  2 Se 2.95, 1 In 2.98, 3 Te 3.14-3.15
Y 0.5000 0.7377 0.2512  1 Se 2.99, 2 In 3.01, 3 Te 3.09-3.13
Y 0.5000 0.2623 0.7488  1 Se 2.99, 2 In 3.01, 3 Te 3.09-3.13
In 0.0000 0.5000 0.5000  6 Y 2.98-3.01
Te 0.0000 0.0000 0.0000  6 Y 3.09-3.14
Te 0.5000 0.0000 0.5000  6 Y 3.13-3.15
Se 0.5000 0.5000 0.0000  6 Y 2.95-2.99

Electronic total energy in eV for the cell shown: -48.1
Symmetry: P2/m



Below is crystalline Na2In6IrAu at its relaxed geometry, with properties calculated at the PBE level.

a = 7.4838 Å, b = 7.4838 Å, c = 7.4839 Å
α = 60.00°, β = 60.00°, γ = 90.00°
Closest atoms and distances in Å follow each position.
Sites, in units of the cell vectors:
Na 0.2500 0.7500 0.5000  12 In 3.74
Na 0.7500 0.2500 0.5000  12 In 3.74
In 0.2537 0.7463 0.0000  1 Ir 2.61, 1 Au 2.69
In 0.7463 0.7463 0.0000  1 Ir 2.61, 1 Au 2.69
In 0.2537 0.2537 0.4925  1 Ir 2.61, 1 Au 2.69
In 0.7463 0.2537 0.0000  1 Ir 2.61, 1 Au 2.69
In 0.2537 0.2537 0.0000  1 Ir 2.61, 1 Au 2.69
In 0.7463 0.7463 0.5075  1 Ir 2.61, 1 Au 2.69
Ir 0.5000 0.5000 0.0000  6 In 2.61
Au 0.0000 0.0000 0.0000  6 In 2.69

Electronic total energy in eV for the cell shown: -31.2
Symmetry: Fm-3m
Energy of formation in eV per formula unit: 0.00



Below is crystalline MnCr at its relaxed geometry, with properties calculated at the PBE level.

a = 7.5005 Å, b = 7.5005 Å, c = 7.5005 Å
α = 90.00°, β = 90.00°, γ = 90.00°
Closest atoms and distances in Å follow each position.
Sites, in units of the cell vectors:
Mn 0.3759 0.3759 0.3759  4 Cr 2.42-2.46, 3 Mn 2.63
Mn 0.3759 0.6241 0.6241  4 Cr 2.42-2.46, 3 Mn 2.63
Mn 0.6241 0.3759 0.6241  4 Cr 2.42-2.46, 3 Mn 2.63
Mn 0.6241 0.6241 0.3759  4 Cr 2.42-2.46, 3 Mn 2.63
Mn 0.8759 0.8759 0.8759  4 Cr 2.42-2.46, 3 Mn 2.63
Mn 0.8759 0.1241 0.1241  4 Cr 2.42-2.46, 3 Mn 2.63
Mn 0.1241 0.8759 0.1241  4 Cr 2.42-2.46, 3 Mn 2.63
Mn 0.1241 0.1241 0.8759  4 Cr 2.42-2.46, 3 Mn 2.63
Cr 0.1868 0.1868 0.1868  4 Mn 2.42-2.46
Cr 0.1868 0.8132 0.8132  4 Mn 2.42-2.46
Cr 0.8132 0.1868 0.8132  4 Mn 2.42-2.46
____________
Happy St. Patrick’s Day! We could sure use the luck of the Irish now! What a whirlwind week we have had! From our normal, regular routine, to a two-week shutdown that is now stretched to six weeks, the COVID-19 virus has put us in unprecedented times. Just last week we were saying, “Let’s take it day by day,” now it is more of, “Let’s monitor this hour to hour.” The impact and spread of the virus has turned our city, state and world upside down. Today, nothing is more important than all of us taking the necessary steps to protect and assure the health and well-being of our families, friends, school and parish communities. We will get through this! At the heart of our faith is the ability to pray to God for peace, comfort and a swift end to these circumstances.
Yesterday, we started our adventure into remote learning. For the most part, teachers are pleased with how it began, especially after having such a short time to get set. All of them spent hours over the weekend familiarizing themselves with the myriad of online resources and programs. We will keep learning over these next weeks and things should go much smoother once the students (and teachers) adjust to the new routine.
I cannot thank our teachers and staff enough for all they have been doing to adapt to this. It was very hard on them having such little time to say good-bye to their students. There have been tears and sadness, but we all realize, this is the best plan to try and keep everyone healthy.
The trimester ended last Thursday and teachers are also busy preparing report cards. We plan to keep to our original schedule and have them sent to you via US mail on Tuesday, March 24th. So many other things over the weeks ahead are cancelled, including OPI for our 5th graders, the middle school Lenten retreat, class picture day and our Lenten/Easter activities.
Finally, thank you once again for all you are doing to support this new learning process. When many of you are having to work from home, it adds a whole layer having to manage your children and their online needs. (Many of our teachers are in the same boat trying to teach and help with their own children’s learning!) Remember to use your e-mail if you are accessing attendance or communicating with teachers. They cannot manage dealing with personal e-mails too and we will only communicate via the school e-mail. We are all available, daily, if you have any questions or issues. Please know how much we appreciate all you are doing.
Stay healthy, wash your hands, respect social distancing and have a great week!